Dear all,

Has anyone figured out how to use Toolforge Build Service for a tool (job + webservice) written in golang?

I'm trying to switch to Toolforge Build Service, but I'm struggling with it.
To debug this, I wrote a minimal job that just prints a hello message to stdout:

Because Toolforge is emulating Heroku, it appears necessary to tell buildpack which binaries should get packaged into the container. The "// +heroku install" comment on line 14 of the following go.mod file seems to do the trick, together with listing the binaries again in a Heroku Procfile:

____________
[1]
Diffraction record for Er2CdHg6. The PXRD pattern is simulated, not measured: it uses a PBE-relaxed structure and Cu Kα (weighted mean of Kα1 and Kα2).

Cell and atoms:
Cell: 8.7710 5.1783 9.3749 Å, 90.00 92.90 90.00°
Space group C2/m (No. 12)
Unique sites:
Er: 0.1619 0.0000 0.2711 [4 per cell]
Cd: 0.0000 0.5000 0.5000 [2 per cell]
Hg: 0.0049 0.5000 0.8333 [4 per cell]
Hg: 0.1678 0.0000 0.6017 [4 per cell]
Hg: 0.1684 0.0000 0.9318 [4 per cell]

Principal peaks in the range 15 to 90 degrees two-theta, in order of rising 2θ:
- hkl 2 0 -3, 2.605 Å, I 52
- hkl 0 2 0, 2.589 Å, I 55
- hkl 3 1 0, 2.543 Å, I 100
- hkl 1 1 3, 2.526 Å, I 96
- hkl 2 2 -3, 1.836 Å, I 38
- hkl 5 1 -3, 1.495 Å, I 20
- hkl 3 3 0, 1.485 Å, I 37
- hkl 1 3 3, 1.482 Å, I 19

=====

[2]
Diffraction record for ErCd2Hg2. The PXRD pattern is simulated, not measured: it uses a PBE-relaxed structure and Cu Kα (weighted mean of Kα1 and Kα2).

Cell and atoms:
Cell: 4.8835 4.8835 17.1509 Å, 90.00 90.00 120.00°
Space group R-3m (No. 166, hexagonal axes)
Unique sites:
Er: 0.0000 0.0000 0.0000 [3 per cell]
Cd: 0.0000 0.0000 0.2022 [6 per cell]
Hg: 0.0000 0.0000 0.4050 [6 per cell]

Principal peaks in the range 15 to 90 degrees two-theta, in order of rising 2θ:
- hkl 0 1 5, 2.664 Å, I 100
- hkl 1 1 0, 2.442 Å, I 80
- hkl 2 0 5, 1.800 Å, I 31
- hkl 1 0 10, 1.589 Å, I 21
- hkl 1 2 5, 1.449 Å, I 31
- hkl 3 0 0, 1.410 Å, I 14
- hkl 2 1 10, 1.169 Å, I 15
- hkl 3 1 5, 1.110 Å, I 14

~~~~~

No. 1
Structure and computed X-ray powder pattern of GdSn3 (a crystal structure in Alexandria, relaxed with GGA-PBE; Cu Ka).
Intensities are scaled so that the largest is 100.

Peak list (10 most intense, 2θ from 10° to 90°, low angle first)
(1 1 1), 3.116 Å, 2θ 28.65, intensity 20; (1 1 3), 2.896 Å, 2θ 30.88, intensity 71; (0 0 8), 2.775 Å, 2θ 32.26, intensity 42; (1 1 5), 2.567 Å, 2θ 34.95, intensity 100; (2 0 0), 2.225 Å, 2θ 40.54, intensity 55; (2 0 8), 1.736 Å, 2θ 52.73, intensity 43; (2 2 0), 1.573 Å, 2θ 58.69, intensity 23; (1 1 13), 1.501 Å, 2θ 61.81, intensity 24; (3 1 3), 1.383 Å, 2θ 67.78, intensity 16; (2 2 8), 1.369 Å, 2θ 68.56, intensity 20

Cell and atoms:
Cell: 4.453 4.448 22.200 Å, 90.00 90.00 90.00°
Space group Amm2 (No. 38)
Inequivalent atoms, fractional coordinates:
Gd (0.000, 0.000, 0.000) x2
Gd (0.500, 0.000, 0.270) x2
Sn (0.000, 0.000, 0.383) x2
Sn (0.000, 0.000, 0.617) x2
Sn (0.000, 0.000, 0.752) x2
Sn (0.500, 0.000, 0.120) x2
Sn (0.500, 0.000, 0.507) x2
Sn (0.500, 0.000, 0.884) x2


No. 2
Structure and computed X-ray powder pattern of Ce2CoC4 (a crystal structure in Alexandria, relaxed with GGA-PBE; Cu Ka).
Intensities are scaled so that the largest is 100.

Peak list (10 most intense, 2θ from 10° to 90°, low angle first)
____________

When running the following command on, the project seems to be built just fine:
$ toolforge build start

Some interesting log message from build service:
[step-build] 2024-04-30T18:13:31.170521374Z Building packages:
[step-build] 2024-04-30T18:13:31.170585858Z   - ./cmd/hello
[step-build] 2024-04-30T18:13:31.170599159Z   - ./cmd/qrank-builder
[step-build] 2024-04-30T18:13:31.170608711Z   - ./cmd/webserver
[step-build] 2024-04-30T18:13:44.563334902Z
[step-build] 2024-04-30T18:13:44.563404532Z [Setting launch table]
[step-build] 2024-04-30T18:13:44.563417703Z Detected processes:
[step-build] 2024-04-30T18:13:44.563427021Z   - hello: hello
[step-build] 2024-04-30T18:13:44.563437573Z   - qrank-builder: qrank-builder
[step-build] 2024-04-30T18:13:44.563446463Z   - webserver: webserver
[step-build] 2024-04-30T18:13:44.563488376Z   - web: hello
[step-build] 2024-04-30T18:13:44.577068596Z
[step-build] 2024-04-30T18:13:44.577163104Z [Discovering process types]
[step-build] 2024-04-30T18:13:44.579933448Z Procfile declares types -> web, qrank-builder, hello

The "web: hello" in the launch table looks very suspicious; it's not what my Procfile states (see link above). But at least the build seems to have been successful:

$ toolforge build show
Build ID: qrank-buildpacks-pipelinerun-vhcrt
Start Time: 2024-04-30T18:13:03Z
End Time: 2024-04-30T18:14:00Z
Status: ok
Message: Tasks Completed: 1 (Failed: 0, Cancelled 0), Skipped: 0
    Source URL:
    Ref: N/A
    Envvars: N/A
Destination Image:

Now, I'd be happy to just run the "hello" job and see its output log. However, when I do this:
$ toolforge jobs run --command hello --image tool-qrank/tool-qrank:latest --mount=all --filelog

The job runs for about five minutes (?!?!), and then:
$ cat hello.out
ERROR: failed to launch: bash exec: argument list too long

So clearly something is off... but what? How to run a golang tool on Toolforge when using Build Service?

Thanks for any help,

— Sascha